Independent Confirmation of Findings by Lee & Broudy: Presence of Undeclared EMF-Sensitive Compounds in Injectable Anesthetic
Demonstrating Self-Assembly of Rectangular Structures in Dental Anaesthetic Septocaine Following Exposure to Low Frequency Radiowaves
If you have not seen 2024 paper by Lee & Broudy (including Response to Critics) on the topic of Self-Assembly of Artificial Constructs in Injectable modRNA Materials published in peer-reviewed IJVTPR (International Journal of Vaccine Theory, Practice, and Research), you’ve been living under the rock.
Despite alternative hypotheses of the critics that the artificial structures observed in the samples “arise from lipid nanoparticles and cholesterol ingredients”, critics went mute on the topic of Unexplained Proliferation of These “cholestrol-derived” Structures in Response to EMF. EMF exposure “was conducted in the form of 1 hour exposure of the sample to a wireless charger.”
The reason experts were tong-tied about this phenomenon is quite obvious. This Proliferation falsifies the cholesterol hypothesis since cholesterol doesn’t form rectangular structures under EMF exposure.
The use of wireless charger is a clever invention. It’s practically a household item used for charging smart phones and other smart devices. Typical frequencies utilized in Wireless Chargers are in the range of 87 to 205 kHz. This range belongs mostly to Low Frequency Radio Band.
Presence of self-assembly of novel artificial constructs is not limited to modRNA materials. Structures similar to the ones found in Moderna product have been found in multiple injectable pharmaceuticals, including local and dental anesthetics as described elsewhere, and by multiple researchers. The present experiment is set to investigate the effect of EMF exposure on Dental Anesthetic Septocaine (product of Septodont USA).
Two slides were prepared from Septocain: one control slide, and the second slide which was placed on active wireless charger for one hour. Emission of EMF was confirmed using TriField EMF Meter Model TF2 in the beginning, middle and at the end of exposure.
The following images were collected from control slide (no EMF),1 hour after slide preparation, using phase-contrast microscopy (x100 magnification), using random field method:

The images below were collected from the slide of Septocaine following EMF exposure for 1 hour:

Molecular formula: C36H78BrN2O13S
Method: DFT, ωB97M-V/def2-TZVPD

Last column: Löwdin charge in e.
Geometry (Å):
C  4.40326  5.43340  -6.45417  -0.0974
C  4.30103  4.60476  -7.74420  -0.2360
C  5.02245  3.24015  -7.66452  -0.2018
C  4.09458  2.02496  -7.53799  -0.1899
C  3.63864  1.75629  -6.08436  -0.1787
C  2.12712  1.66370  -5.91120  -0.1931
C  1.40968  2.94914  -6.30756  -0.1802
C  -0.06593  2.96710  -5.96263  -0.2708
N  -0.78628  1.71699  -6.42329  0.1462
C  -1.67854  1.91649  -7.61928  -0.0378
C  -1.09178  2.92534  -8.57615  -0.3137
N  0.12753  2.31455  -9.17365  0.0847
C  0.53955  2.90685  -10.16028  -0.7774
S  1.01036  3.61744  -11.44847  0.8656
O  -0.77197  4.15665  -7.97221  -0.0931
C  -0.81524  4.15544  -6.57204  -0.6892
Br  -0.05716  5.82153  -5.96166  0.8770
H  4.33519  6.49262  -6.69212  0.0710
H  3.61030  5.17893  -5.75416  0.0464
H  5.36890  5.28476  -5.97908  0.0734
H  4.79120  5.17665  -8.52907  0.1019
H  3.26378  4.46840  -8.04359  0.0845
H  5.62191  3.11680  -8.56502  0.1059
H  5.72632  3.23878  -6.83393  0.1063
H  3.22386  2.14766  -8.18356  0.0918
H  4.63692  1.16078  -7.91601  0.1088
H  4.04182  2.51115  -5.41059  0.1139
H  4.07035  0.80607  -5.77438  0.1136
H  1.84845  1.34652  -4.90401  0.1236
H  1.78748  0.85613  -6.57859  0.1104
H  1.85501  3.76315  -5.73918  0.0911
H  1.58157  3.19563  -7.34743  0.0892
H  -0.19354  3.06044  -4.88833  0.1324
H  -1.37782  1.40583  -5.65046  0.1903
H  -0.14109  0.94678  -6.61377  0.1612
H  -2.67956  2.18192  -7.29467  0.1220
H  -1.76435  0.96437  -8.13330  0.1491
H  -1.82412  3.09351  -9.36461  0.1686
H  -1.84235  4.17970  -6.20634  0.0842
C  -3.58343  2.34285  0.55744  -0.1034
O  -4.39152  2.65786  -0.56211  -0.2033
C  -5.20756  3.80634  -0.40372  -0.1908
C  -5.06200  4.78999  -1.54469  -0.1730
O  -3.78618  5.39506  -1.68229  -0.1033
C  -2.68151  4.62001  -2.08175  -0.1778
C  -2.72768  4.08188  -3.49676  -0.2026
O  -3.73336  3.10407  -3.69867  -0.1860
C  -4.52943  3.28404  -4.84810  -0.1008
H  -4.10834  1.65954  1.23139  0.0853
H  -2.68440  1.84402  0.19216  0.0850
H  -3.27482  3.23600  1.10638  0.0913
H  -4.99599  4.31160  0.54293  0.1262
H  -6.25472  3.48087  -0.38188  0.1300
H  -5.73917  5.61975  -1.33094  0.1335
H  -5.39894  4.35418  -2.48775  0.1109
H  -2.47221  3.81789  -1.37055  0.1151
H  -1.82896  5.30364  -2.03989  0.1354
H  -1.75523  3.60700  -3.69950  0.1004
H  -2.85079  4.91638  -4.19765  0.1160
H  -4.67801  4.34189  -5.08124  0.0994
H  -5.50253  2.83465  -4.65591  0.0978
H  -4.08518  2.77786  -5.71932  0.0596
C  -6.03428  -4.77633  3.70227  -0.1067
O  -6.01314  -3.49576  3.10591  -0.1931
C  -4.97607  -2.64045  3.54274  -0.1943
C  -4.18257  -2.02034  2.40826  -0.1815
O  -3.44302  -2.91148  1.58880  -0.1214
C  -4.15755  -3.82435  0.76881  -0.1788
C  -5.01387  -3.21279  -0.32423  -0.1941
O  -6.10511  -2.47713  0.19940  -0.1955
C  -6.31300  -1.20304  -0.36882  -0.1098
H  -6.65191  -4.77590  4.60541  0.0884
H  -6.47055  -5.47236  2.98507  0.0876
Discussion and Conclusion:
Comparison of images collected from two slides of Septocaine (control slide and EMF-exposed slide, phase contrast, x100 magnification) suggests that under EMF exposure, Rectangular Structures of unknown composition are formed in the material. These structures were not observed in the control slide at the same time mark following slide preparation.
It is notable that in the control slide, the background is filled with dots (not quantum dots!) of unknown material, while in the EMF-exposed slide, the dotted background is not easily visible, suggesting that the rectangular artifacts are formed from the “dotted” compound. Also, in one of the images, rectangular structures are formed along the trail of the dotted material, supporting the latter proposition:
In Conclusion, present experiment provides independent confirmation of findings by Lee & Broudy, 2024 (Figure 23 in the article):
While Lee & Broudy investigated injectable modRNA material, the present study was conducted using dental anesthetic Septocaine. The experiment demonstrated the presence of undeclared EMF-Sensitive compound(s) in the sample. These finding are alongside the forming consensus among researches investigating this phenomenon that undeclared (likely nano-micro) technology sensitive to (and perhaps guided by) EMF is widespread in injectable pharmaceutical products beyond so-called vaccines.
Article describing these findings is available on as PDF.